Request:
Next, restate the whole of the calculation results below character by character.
Excerpt:
~~~
Crystalline Ca2P4Pb at its relaxed geometry. Source: Alexandria, functional GGA-PBE.

a = 8.530 Å, b = 10.930 Å, c = 3.456 Å
α = 90.00°, β = 90.00°, γ = 90.00°
Element x y z (fractional)
Ca  0.150  0.149  0.000
Ca  0.350  0.649  0.000
Ca  0.650  0.351  0.000
Ca  0.850  0.851  0.000
P  0.106  0.769  0.500
P  0.207  0.885  0.000
P  0.293  0.385  0.000
P  0.394  0.269  0.500
P  0.606  0.731  0.500
P  0.707  0.615  0.000
P  0.793  0.115  0.000
P  0.894  0.231  0.500
Pb  0.000  0.500  0.500
Pb  0.500  0.000  0.500

Results
- E_form: -0.481 eV per atom
- SG: No. 55
- Total magnetization: 0.0 μB per formula unit
- ρ: 4.2 Mg/m³



Crystalline NbNO2F at its relaxed geometry. Source: Alexandria, functional GGA-PBE.

a = 3.626 Å, b = 3.626 Å, c = 3.586 Å
α = 90.00°, β = 90.00°, γ = 90.00°
Element x y z (fractional)
Nb  0.000  0.000  0.000
N  0.500  0.500  0.000
O  0.000  0.500  0.500
O  0.500  0.000  0.500
F  0.500  0.500  0.500

Results
- SG: No. 123
- Total magnetization: 0.1 μB per formula unit
- ρ: 5.6 Mg/m³
- Formation energy without anion corrections: 383 kJ/mol of formula units



Crystalline BeFe2I8 at its relaxed geometry. Source: Alexandria, functional GGA-PBE.

a = 8.647 Å, b = 8.647 Å, c = 6.763 Å
α = 90.57°, β = 90.57°, γ = 72.12°
Element x y z (fractional)
Be  0.000  0.000  0.000
Fe  0.178  0.178  0.390
Fe  0.822  0.822  0.610
I  0.108  0.730  0.775
I  0.169  0.169  0.768
I  0.270  0.892  0.225
I  0.351  0.351  0.304
I  0.649  0.649  0.696
I  0.730  0.108  0.775
I  0.831  0.831  0.232
I  0.892  0.270  0.225

Results
- SG: No. 12
- Total magnetization: 10.0 μB per formula unit
- ρ: 3.9 Mg/m³
- Formation energy without anion corrections: -170 kJ/mol of formula units


CuAg8Sn2 after structural relaxation. Source: Alexandria via LeMat-Bulk, functional PBE.

## Properties
energy of formation from the pure elements = 109 meV per atom
DOS at the Fermi energy = 3.1 states/eV/f.u.
theoretical density = 8.722 g cm⁻³

```
data_CuAg8Sn2
_chemical_formula_sum 'Cu2 Ag16 Sn4'
_space_group_name_H-M_alt 'C 1 2/m 1'
_space_group_IT_number 12
_space_group_name_Hall '-C 2y'
_cell_length_a 12.7425
_cell_length_b 7.1682
_cell_length_c 5.0464
_cell_angle_alpha 90.00
_cell_angle_beta 105.95
_cell_angle_gamma 90.00
loop_
_atom_site_label
_atom_site_type_symbol
_atom_site_fract_x
_atom_site_fract_y
_atom_site_fract_z
Cu1 Cu 0.0000 0.0000 0.0000
Ag1 Ag 0.0668 0.3045 0.7953
Ag2 Ag 0.1396 0.5000 0.3431
Ag3 Ag 0.2287 0.0000 0.0668
Sn1 Sn 0.1266 0.0000 0.4967
```

***

Y4Te2SN2 after structural relaxation. Source: Alexandria via LeMat-Bulk, functional PBE.

## Properties
uncorrected formation energy = -159.3 kJ per mole of atoms
DOS at the Fermi energy = 0.1 states/eV/f.u.
theoretical density = 5.255 g cm⁻³

```
data_Y4Te2SN2
_chemical_formula_sum 'Y8 Te4 S2 N4'
_space_group_name_H-M_alt 'C 1 2/m 1'
_space_group_IT_number 12
_space_group_name_Hall '-C 2y'
_cell_length_a 15.3098
_cell_length_b 3.9932
_cell_length_c 7.2476
_cell_angle_alpha 90.00
_cell_angle_beta 106.89
_cell_angle_gamma 90.00
loop_
_atom_site_label
_atom_site_type_symbol
_atom_site_fract_x
_atom_site_fract_y
_atom_site_fract_z
Y1 Y 0.0450 0.0000 0.2744
Y2 Y 0.2094 0.5000 0.6487
Te1 Te 0.1319 0.5000 0.0346
S1 S 0.0000 0.5000 0.5000
N1 N 0.1743 0.0000 0.4877
```

***

SrCuSi2 after structural relaxation. Source: Alexandria via LeMat-Bulk, functional PBE.

## Properties
uncorrected formation energy = -12.6 kJ per mole of atoms
DOS at the Fermi energy = 2.4 states/eV/f.u.
theoretical density = 3.756 g cm⁻³

```
data_SrCuSi2
_chemical_formula_sum 'Sr1 Cu1 Si2'
_space_group_name_H-M_alt 'P 1 m 1'
_space_group_IT_number 6
_space_group_name_Hall 'P -2y'
_cell_length_a 4.6935
_cell_length_b 4.1229
_cell_length_c 4.7365
_cell_angle_alpha 90.00
_cell_angle_beta 90.03
_cell_angle_gamma 90.00
loop_
_atom_site_label
_atom_site_type_symbol
_atom_site_fract_x
_atom_site_fract_y
_atom_site_fract_z
Sr1 Sr 0.0000 0.0000 0.0000
Cu1 Cu 0.4991 0.5000 0.7482
Si1 Si 0.5002 0.0000 0.5000
~~~
Completed:
Crystalline Ca2P4Pb at its relaxed geometry. Source: Alexandria, functional GGA-PBE.

a = 8.530 Å, b = 10.930 Å, c = 3.456 Å
α = 90.00°, β = 90.00°, γ = 90.00°
Element x y z (fractional)
Ca  0.150  0.149  0.000
Ca  0.350  0.649  0.000
Ca  0.650  0.351  0.000
Ca  0.850  0.851  0.000
P  0.106  0.769  0.500
P  0.207  0.885  0.000
P  0.293  0.385  0.000
P  0.394  0.269  0.500
P  0.606  0.731  0.500
P  0.707  0.615  0.000
P  0.793  0.115  0.000
P  0.894  0.231  0.500
Pb  0.000  0.500  0.500
Pb  0.500  0.000  0.500

Results
- E_form: -0.481 eV per atom
- SG: No. 55
- Total magnetization: 0.0 μB per formula unit
- ρ: 4.2 Mg/m³



Crystalline NbNO2F at its relaxed geometry. Source: Alexandria, functional GGA-PBE.

a = 3.626 Å, b = 3.626 Å, c = 3.586 Å
α = 90.00°, β = 90.00°, γ = 90.00°
Element x y z (fractional)
Nb  0.000  0.000  0.000
N  0.500  0.500  0.000
O  0.000  0.500  0.500
O  0.500  0.000  0.500
F  0.500  0.500  0.500

Results
- SG: No. 123
- Total magnetization: 0.1 μB per formula unit
- ρ: 5.6 Mg/m³
- Formation energy without anion corrections: 383 kJ/mol of formula units



Crystalline BeFe2I8 at its relaxed geometry. Source: Alexandria, functional GGA-PBE.

a = 8.647 Å, b = 8.647 Å, c = 6.763 Å
α = 90.57°, β = 90.57°, γ = 72.12°
Element x y z (fractional)
Be  0.000  0.000  0.000
Fe  0.178  0.178  0.390
Fe  0.822  0.822  0.610
I  0.108  0.730  0.775
I  0.169  0.169  0.768
I  0.270  0.892  0.225
I  0.351  0.351  0.304
I  0.649  0.649  0.696
I  0.730  0.108  0.775
I  0.831  0.831  0.232
I  0.892  0.270  0.225

Results
- SG: No. 12
- Total magnetization: 10.0 μB per formula unit
- ρ: 3.9 Mg/m³
- Formation energy without anion corrections: -170 kJ/mol of formula units


CuAg8Sn2 after structural relaxation. Source: Alexandria via LeMat-Bulk, functional PBE.

## Properties
energy of formation from the pure elements = 109 meV per atom
DOS at the Fermi energy = 3.1 states/eV/f.u.
theoretical density = 8.722 g cm⁻³

```
data_CuAg8Sn2
_chemical_formula_sum 'Cu2 Ag16 Sn4'
_space_group_name_H-M_alt 'C 1 2/m 1'
_space_group_IT_number 12
_space_group_name_Hall '-C 2y'
_cell_length_a 12.7425
_cell_length_b 7.1682
_cell_length_c 5.0464
_cell_angle_alpha 90.00
_cell_angle_beta 105.95
_cell_angle_gamma 90.00
loop_
_atom_site_label
_atom_site_type_symbol
_atom_site_fract_x
_atom_site_fract_y
_atom_site_fract_z
Cu1 Cu 0.0000 0.0000 0.0000
Ag1 Ag 0.0668 0.3045 0.7953
Ag2 Ag 0.1396 0.5000 0.3431
Ag3 Ag 0.2287 0.0000 0.0668
Sn1 Sn 0.1266 0.0000 0.4967
```

***

Y4Te2SN2 after structural relaxation. Source: Alexandria via LeMat-Bulk, functional PBE.

## Properties
uncorrected formation energy = -159.3 kJ per mole of atoms
DOS at the Fermi energy = 0.1 states/eV/f.u.
theoretical density = 5.255 g cm⁻³

```
data_Y4Te2SN2
_chemical_formula_sum 'Y8 Te4 S2 N4'
_space_group_name_H-M_alt 'C 1 2/m 1'
_space_group_IT_number 12
_space_group_name_Hall '-C 2y'
_cell_length_a 15.3098
_cell_length_b 3.9932
_cell_length_c 7.2476
_cell_angle_alpha 90.00
_cell_angle_beta 106.89
_cell_angle_gamma 90.00
loop_
_atom_site_label
_atom_site_type_symbol
_atom_site_fract_x
_atom_site_fract_y
_atom_site_fract_z
Y1 Y 0.0450 0.0000 0.2744
Y2 Y 0.2094 0.5000 0.6487
Te1 Te 0.1319 0.5000 0.0346
S1 S 0.0000 0.5000 0.5000
N1 N 0.1743 0.0000 0.4877
```

***

SrCuSi2 after structural relaxation. Source: Alexandria via LeMat-Bulk, functional PBE.

## Properties
uncorrected formation energy = -12.6 kJ per mole of atoms
DOS at the Fermi energy = 2.4 states/eV/f.u.
theoretical density = 3.756 g cm⁻³

```
data_SrCuSi2
_chemical_formula_sum 'Sr1 Cu1 Si2'
_space_group_name_H-M_alt 'P 1 m 1'
_space_group_IT_number 6
_space_group_name_Hall 'P -2y'
_cell_length_a 4.6935
_cell_length_b 4.1229
_cell_length_c 4.7365
_cell_angle_alpha 90.00
_cell_angle_beta 90.03
_cell_angle_gamma 90.00
loop_
_atom_site_label
_atom_site_type_symbol
_atom_site_fract_x
_atom_site_fract_y
_atom_site_fract_z
Sr1 Sr 0.0000 0.0000 0.0000
Cu1 Cu 0.4991 0.5000 0.7482
Si1 Si 0.5002 0.0000 0.5000